[To do]
The reader should set down the material underneath with every line break kept.
[Listing]
- - -
[1]
# CuNi6W GGA-PBEsol optimized geometry
data_CuNi6W
_cell_length_a 7.0615
_cell_length_b 9.9914
_cell_length_c 10.0089
_cell_angle_alpha 90.00
_cell_angle_beta 90.00
_cell_angle_gamma 90.00
_space_group_name_H-M_alt 'C m m m'
_space_group_IT_number 65
_space_group_name_Hall '-C 2 2'
loop_
_atom_site_label
_atom_site_type_symbol
_atom_site_fract_x
_atom_site_fract_y
_atom_site_fract_z
_atom_site_occupancy
Cu1 Cu 0.0000 0.0000 0.2461 1
Cu2 Cu 0.0000 0.2500 0.0000 1
Ni1 Ni 0.0000 0.0000 0.0000 1
Ni2 Ni 0.0000 0.0000 0.5000 1
Ni3 Ni 0.0000 0.2498 0.2503 1
Ni4 Ni 0.0000 0.5000 0.0000 1
Ni5 Ni 0.0000 0.5000 0.5000 1
Ni6 Ni 0.2487 0.1246 0.3750 1
Ni7 Ni 0.2500 0.1253 0.1250 1
W1 W 0.0000 0.2538 0.5000 1
W2 W 0.0000 0.5000 0.2415 1
# total energy = -6.954 eV per atom
# size of the total moment = 0.108 Bohr magnetons per cell
# formation energy = -0.548 eV/f.u.



[2]
# YCuNi2 GGA-PBEsol optimized geometry
data_YCuNi2
_cell_length_a 4.0321
_cell_length_b 4.0321
_cell_length_c 13.2011
_cell_angle_alpha 90.00
_cell_angle_beta 90.00
_cell_angle_gamma 120.00
_space_group_name_H-M_alt 'R -3 m'
_space_group_IT_number 166
_space_group_name_Hall '-R 3 2"'
loop_
_atom_site_label
_atom_site_type_symbol
_atom_site_fract_x
_atom_site_fract_y
_atom_site_fract_z
_atom_site_occupancy
Y1 Y 0.0000 0.0000 0.0000 1
Cu1 Cu 0.0000 0.0000 0.5000 1
Ni1 Ni 0.0000 0.0000 0.1997 1
# total energy = -6.129 eV per atom
# size of the total moment = 0.000 Bohr magnetons per cell
# formation energy = -1.044 eV/f.u.



[3]
# Y2CuNi2 GGA-PBEsol optimized geometry
data_Y2CuNi2
_cell_length_a 6.8942
_cell_length_b 6.8942
_cell_length_c 3.6987
_cell_angle_alpha 90.00
_cell_angle_beta 90.00
_cell_angle_gamma 90.00
_space_group_name_H-M_alt 'P 4/m b m'
_space_group_IT_number 127
_space_group_name_Hall '-P 4 2ab'
loop_
_atom_site_label
_atom_site_type_symbol
_atom_site_fract_x
_atom_site_fract_y
_atom_site_fract_z
_atom_site_occupancy
Y1 Y 0.1792 0.3208 0.0000 1
Cu1 Cu 0.0000 0.0000 0.5000 1
Ni1 Ni 0.1222 0.6222 0.5000 1
# total energy = -6.367 eV per atom
# size of the total moment = 0.000 Bohr magnetons per cell
# formation energy = -1.543 eV/f.u.



[4]
# Y2Cu5Ni12 GGA-PBEsol optimized geometry
data_Y2Cu5Ni12
_cell_length_a 8.2065
_cell_length_b 8.2065
_cell_length_c 7.9692
_cell_angle_alpha 90.00
_cell_angle_beta 90.00
_cell_angle_gamma 120.00
_space_group_name_H-M_alt 'P 63/m m c'
_space_group_IT_number 194
_space_group_name_Hall '-P 6c 2c'
loop_
_atom_site_label
_atom_site_type_symbol
_atom_site_fract_x
_atom_site_fract_y
_atom_site_fract_z
_atom_site_occupancy
Y1 Y 0.0000 0.0000 0.2500 1
Y2 Y 0.3333 0.6667 0.2500 1
Cu1 Cu 0.0000 0.5000 0.0000 1
Cu2 Cu 0.3333 0.6667 0.6045 1
Ni1 Ni 0.0403 0.3659 0.7500 1
Ni2 Ni 0.1645 0.3289 0.0205 1
# total energy = -5.914 eV per atom
# size of the total moment = 5.018 Bohr magnetons per cell
# formation energy = -3.157 eV/f.u.



[5]
# Y2CuNi GGA-PBEsol optimized geometry
data_Y2CuNi
_cell_length_a 4.2879
_cell_length_b 3.6918
_cell_length_c 10.0727
_cell_angle_alpha 90.00
_cell_angle_beta 90.00
_cell_angle_gamma 90.00
_space_group_name_H-M_alt 'A m m 2'
_space_group_IT_number 38
loop_
_space_group_symop_operation_xyz
'x,y,z'
'-x,-y,z'
'-x,y,z'
'x,-y,z'
'x,y+1/2,z+1/2'
'-x,-y+1/2,z+1/2'
'-x,y+1/2,z+1/2'
'x,-y+1/2,z+1/2'
loop_
_atom_site_label
_atom_site_type_symbol
_atom_site_fract_x
_atom_site_fract_y
_atom_site_fract_z
_atom_site_occupancy
Y1 Y 0.0000 0.0000 0.0000 1
Y2 Y 0.5000 0.0000 0.2792 1
Cu1 Cu 0.0000 0.0000 0.7098 1
Ni1 Ni 0.5000 0.0000 0.5687 1
# total energy = -6.372 eV per atom
# size of the total moment = 0.001 Bohr magnetons per cell
# formation energy = -1.351 eV/f.u.



[6]
# Y2CuNi GGA-PBEsol optimized geometry
data_Y2CuNi
_cell_length_a 3.3580
_cell_length_b 3.3580
_cell_length_c 6.7807
_cell_angle_alpha 90.00
_cell_angle_beta 90.00
_cell_angle_gamma 90.00
_space_group_name_H-M_alt 'P 4/m m m'
_space_group_IT_number 123
_space_group_name_Hall '-P 4 2'
loop_
_atom_site_label
_atom_site_type_symbol
- - -
[Worked solution]
[1]
# CuNi6W GGA-PBEsol optimized geometry
data_CuNi6W
_cell_length_a 7.0615
_cell_length_b 9.9914
_cell_length_c 10.0089
_cell_angle_alpha 90.00
_cell_angle_beta 90.00
_cell_angle_gamma 90.00
_space_group_name_H-M_alt 'C m m m'
_space_group_IT_number 65
_space_group_name_Hall '-C 2 2'
loop_
_atom_site_label
_atom_site_type_symbol
_atom_site_fract_x
_atom_site_fract_y
_atom_site_fract_z
_atom_site_occupancy
Cu1 Cu 0.0000 0.0000 0.2461 1
Cu2 Cu 0.0000 0.2500 0.0000 1
Ni1 Ni 0.0000 0.0000 0.0000 1
Ni2 Ni 0.0000 0.0000 0.5000 1
Ni3 Ni 0.0000 0.2498 0.2503 1
Ni4 Ni 0.0000 0.5000 0.0000 1
Ni5 Ni 0.0000 0.5000 0.5000 1
Ni6 Ni 0.2487 0.1246 0.3750 1
Ni7 Ni 0.2500 0.1253 0.1250 1
W1 W 0.0000 0.2538 0.5000 1
W2 W 0.0000 0.5000 0.2415 1
# total energy = -6.954 eV per atom
# size of the total moment = 0.108 Bohr magnetons per cell
# formation energy = -0.548 eV/f.u.



[2]
# YCuNi2 GGA-PBEsol optimized geometry
data_YCuNi2
_cell_length_a 4.0321
_cell_length_b 4.0321
_cell_length_c 13.2011
_cell_angle_alpha 90.00
_cell_angle_beta 90.00
_cell_angle_gamma 120.00
_space_group_name_H-M_alt 'R -3 m'
_space_group_IT_number 166
_space_group_name_Hall '-R 3 2"'
loop_
_atom_site_label
_atom_site_type_symbol
_atom_site_fract_x
_atom_site_fract_y
_atom_site_fract_z
_atom_site_occupancy
Y1 Y 0.0000 0.0000 0.0000 1
Cu1 Cu 0.0000 0.0000 0.5000 1
Ni1 Ni 0.0000 0.0000 0.1997 1
# total energy = -6.129 eV per atom
# size of the total moment = 0.000 Bohr magnetons per cell
# formation energy = -1.044 eV/f.u.



[3]
# Y2CuNi2 GGA-PBEsol optimized geometry
data_Y2CuNi2
_cell_length_a 6.8942
_cell_length_b 6.8942
_cell_length_c 3.6987
_cell_angle_alpha 90.00
_cell_angle_beta 90.00
_cell_angle_gamma 90.00
_space_group_name_H-M_alt 'P 4/m b m'
_space_group_IT_number 127
_space_group_name_Hall '-P 4 2ab'
loop_
_atom_site_label
_atom_site_type_symbol
_atom_site_fract_x
_atom_site_fract_y
_atom_site_fract_z
_atom_site_occupancy
Y1 Y 0.1792 0.3208 0.0000 1
Cu1 Cu 0.0000 0.0000 0.5000 1
Ni1 Ni 0.1222 0.6222 0.5000 1
# total energy = -6.367 eV per atom
# size of the total moment = 0.000 Bohr magnetons per cell
# formation energy = -1.543 eV/f.u.



[4]
# Y2Cu5Ni12 GGA-PBEsol optimized geometry
data_Y2Cu5Ni12
_cell_length_a 8.2065
_cell_length_b 8.2065
_cell_length_c 7.9692
_cell_angle_alpha 90.00
_cell_angle_beta 90.00
_cell_angle_gamma 120.00
_space_group_name_H-M_alt 'P 63/m m c'
_space_group_IT_number 194
_space_group_name_Hall '-P 6c 2c'
loop_
_atom_site_label
_atom_site_type_symbol
_atom_site_fract_x
_atom_site_fract_y
_atom_site_fract_z
_atom_site_occupancy
Y1 Y 0.0000 0.0000 0.2500 1
Y2 Y 0.3333 0.6667 0.2500 1
Cu1 Cu 0.0000 0.5000 0.0000 1
Cu2 Cu 0.3333 0.6667 0.6045 1
Ni1 Ni 0.0403 0.3659 0.7500 1
Ni2 Ni 0.1645 0.3289 0.0205 1
# total energy = -5.914 eV per atom
# size of the total moment = 5.018 Bohr magnetons per cell
# formation energy = -3.157 eV/f.u.



[5]
# Y2CuNi GGA-PBEsol optimized geometry
data_Y2CuNi
_cell_length_a 4.2879
_cell_length_b 3.6918
_cell_length_c 10.0727
_cell_angle_alpha 90.00
_cell_angle_beta 90.00
_cell_angle_gamma 90.00
_space_group_name_H-M_alt 'A m m 2'
_space_group_IT_number 38
loop_
_space_group_symop_operation_xyz
'x,y,z'
'-x,-y,z'
'-x,y,z'
'x,-y,z'
'x,y+1/2,z+1/2'
'-x,-y+1/2,z+1/2'
'-x,y+1/2,z+1/2'
'x,-y+1/2,z+1/2'
loop_
_atom_site_label
_atom_site_type_symbol
_atom_site_fract_x
_atom_site_fract_y
_atom_site_fract_z
_atom_site_occupancy
Y1 Y 0.0000 0.0000 0.0000 1
Y2 Y 0.5000 0.0000 0.2792 1
Cu1 Cu 0.0000 0.0000 0.7098 1
Ni1 Ni 0.5000 0.0000 0.5687 1
# total energy = -6.372 eV per atom
# size of the total moment = 0.001 Bohr magnetons per cell
# formation energy = -1.351 eV/f.u.



[6]
# Y2CuNi GGA-PBEsol optimized geometry
data_Y2CuNi
_cell_length_a 3.3580
_cell_length_b 3.3580
_cell_length_c 6.7807
_cell_angle_alpha 90.00
_cell_angle_beta 90.00
_cell_angle_gamma 90.00
_space_group_name_H-M_alt 'P 4/m m m'
_space_group_IT_number 123
_space_group_name_Hall '-P 4 2'
loop_
_atom_site_label
_atom_site_type_symbol